This Briefing will set out the current state of the Brexit negotiations in the field of air transport. The Briefing will show that, in addition to specific issues that arise in the field of air transport, such as which rights of access are to be granted or differences in the understanding of ‘ownership and control’ or ‘fair competition’, the issues that have more generally caused difficulties for both sides in the negotiations can also be found in the air transport area. These general stumbling blocks include the Union’s ‘level playing field provisions’ and different approaches to dispute resolution. While the air transport specific issues can perhaps be bridged, the more general issues will require major concessions to avoid the damaging prospect of each party being denied access to the air space of the other.
The United Kingdom left the European Union on 31 January 2020 and is currently bound by, and benefits from, EU law as part of the Withdrawal Agreement it concluded with the EU. This also includes provisions on aviation, which allow the UK to benefit from continuous access to the European Union. The transition period ends on 31 December 2020 and both sides will need to conclude an agreement in some form to continue accessing each other’s aviation space. While the current negotiations on an agreement about the Future Relationship include provisions on aviation, the negotiation positions, as they are publicly known, are still some way apart and, more generally, there is the possibility that no agreement will be found by the end of the year.
This Briefing will set out the position under the transitional arrangements of the Withdrawal Agreement before proceeding to a discussion of the differences in the positions of the EU and the UK in the current negotiations. It will set out some thoughts as to how those differences could be bridged and conclude with some reflections on what will happen in case no agreement is struck.
When the UK left the European Union on 31 January 2020 not much changed form a legal perspective, as, by and large, EU law continued to apply by virtue of the Withdrawal Agreement. This was also the case in the area of air transport, where the EU over time has developed a truly common aviation space. The UK enjoyed the same level of access to the EU-27 and vice-versa as before the exit date. With the end of the transition period approaching, the position can change dramatically at the end of 2020. If no arrangement is found, then, at least as a matter of principle, planes from the UK will not be allowed to fly over or land in the EU-27 and vice-versa. So where are we in the negotiations and what are the key remaining differences?
Key differences
When considering the negotiations positions, at least those that were made publicly available, one can discern a number of key differences.
[Between two parts of the text: calculated crystals]
<<<
Diffraction record for Zn3Cr2O7. The PXRD pattern is computed, not measured: it uses a DFT-relaxed cell (GGA+U, Alexandria) and Cu Ka.

Top 12 peaks for 5 to 70 degrees two-theta, most intense first:
| 2θ/deg | I (rel.) | hkl |
| --- | --- | --- |
| 34.5 | 100 | 5 1 1 |
| 34.7 | 28 | 0 2 0 |
| 35.1 | 27 | 0 0 2 |
| 50.1 | 23 | 0 2 2 |
| 62.0 | 23 | 5 3 1 |
| 62.5 | 20 | 5 1 3 |
| 48.9 | 16 | 10 0 0 |
| 61.6 | 12 | 10 0 2 |
| 61.4 | 12 | 10 2 0 |
| 42.1 | 7 | 7 1 1 |
| 38.1 | 6 | 7 1 0 |
| 58.9 | 5 | 3 1 3 |

Structural model:
a = 18.611 Å, b = 5.173 Å, c = 5.118 Å
α = 90.00°, β = 90.00°, γ = 90.00°
Space group Cmc2_1 (No. 36)
Symmetry-distinct sites (fractional):
Zn  0.000  0.235  0.000 x4
Zn  0.201  0.278  0.942 x8
Cr  0.102  0.249  0.474 x8
O  0.000  0.142  0.394 x4
O  0.077  0.419  0.790 x8
O  0.128  0.082  0.158 x8
O  0.202  0.350  0.552 x8

~~~~~

[1]
# InFeNi
Theoretical powder XRD pattern, Cu Ka. Input: a crystal structure in the Materials Project, relaxed with GGA-PBE.
Lines closer than 0.1° are merged.

The 8 most intense peaks (10° ≤ 2θ ≤ 90°), most intense first:
| two_theta | d [Å] | I/Imax |
| --- | --- | --- |
| 40.5 | 2.229 | 100 |
| 42.4 | 2.132 | 79 |
| 60.1 | 1.540 | 30 |
| 76.3 | 1.249 | 28 |
| 82.5 | 1.169 | 20 |
| 24.1 | 3.692 | 18 |
| 77.6 | 1.231 | 12 |
| 67.0 | 1.398 | 6 |

```
InFeNi
1.0
4.263 0.000 0.000
-2.132 3.692 0.000
0.000 0.000 2.795
In Fe Ni
1 1 1
direct
0.000 0.000 0.000
0.667 0.333 0.500
0.333 0.667 0.500
```

[2]
# InFeNi
Theoretical powder XRD pattern, Cu Ka. Input: a crystal structure in the Materials Project, relaxed with GGA-PBE.
Lines closer than 0.1° are merged.

The 8 most intense peaks (10° ≤ 2θ ≤ 90°), most intense first:
| two_theta | d [Å] | I/Imax |
| --- | --- | --- |
| 41.3 | 2.188 | 100 |
| 41.8 | 2.163 | 75 |
| 60.2 | 1.538 | 24 |
| 75.6 | 1.258 | 23 |
| 54.5 | 1.683 | 23 |
| 86.2 | 1.128 | 22 |
| 29.0 | 3.076 | 18 |
| 75.2 | 1.263 | 15 |

```
InFeNi
1.0
4.375 0.000 0.000
-2.188 3.789 0.000
0.000 0.000 5.268
In Fe Ni
2 2 2
direct
0.333 0.667 0.250
0.667 0.333 0.750
0.000 0.000 0.000
0.000 0.000 0.500
0.333 0.667 0.750
0.667 0.333 0.250
```

[3]
# Sm6InFe13
Theoretical powder XRD pattern, Cu Ka. Input: a crystal structure in the Materials Project, relaxed with GGA-PBE.
Lines closer than 0.1° are merged.

The 8 most intense peaks (10° ≤ 2θ ≤ 90°), most intense first:
| two_theta | d [Å] | I/Imax |
| --- | --- | --- |
| 31.6 | 2.829 | 100 |
| 35.5 | 2.529 | 84 |
| 27.5 | 3.245 | 75 |
| 38.4 | 2.343 | 57 |
| 43.4 | 2.087 | 45 |
| 38.9 | 2.315 | 43 |
| 51.1 | 1.789 | 38 |
| 47.0 | 1.933 | 35 |

```
Sm6InFe13
1.0
-3.999 3.999 11.564
3.999 -3.999 11.564
3.999 3.999 -11.564
Sm In Fe
12 2 26
direct
0.022 0.522 0.174
0.105 0.105 0.000
0.152 0.978 0.500
0.348 0.848 0.826
0.395 0.395 0.000
0.478 0.652 0.500
0.522 0.348 0.500
0.605 0.605 0.000
0.652 0.152 0.174
0.848 0.022 0.500
0.895 0.895 0.000
0.978 0.478 0.826
0.250 0.250 0.000
0.750 0.750 0.000
0.000 0.500 0.500
0.019 0.292 0.500
0.066 0.210 0.276
>>>
Aviation as separate agreement or part of an overall agreement?
The first difference is that the EU version of the draft agreement is one single document, in which the rules on air transport can be found in chapter one (air transport) of Title XII (Transport). On the other hand, the UK approach was set out in the provisions on air transport separately, but alongside the main trade agreement in a ‘Comprehensive Air Transport Agreement’. The key difference in approach has been that the EU agreement would have to be accepted as a whole, while the UK approached envisaged that an air transport agreement could be adopted even if the negotiations about the main trade agreement failed.
Which ‘freedoms of the air’ are offered?
The second difference exists in respect of the main substantive provisions of the agreement: the air transport freedoms that are offered. Currently the EU offers a common aviation area without any limitations. This includes all nine ‘freedoms of the air’. The ambitions of both parties in the current negotiations are much more limited, but still differ. The EU seems to offer merely the first four ‘freedoms of the air’, including (1) the right to fly over a foreign country; (2) the right to refuel or carry out maintenance in a foreign country without embarking or disembarking passengers or cargo; (3) the right to fly from the home country and land in a foreign country; and (4) the right to fly from a foreign country and to land in the home country. In contrast the UK position offers those four rights but also the fifth ‘freedom’: that is, (5) to fly from the home country to a foreign country while stopping in another foreign country on the way.
## What comes next are data records, not part of the entry
/*
No. 1
Sr5CaAl2O8F2: theoretical powder diffraction line list (CuKα), based on a GGA-PBE-relaxed structure.

Structure:
abc: 9.637 11.206 9.520
angles: 90.00 90.00 90.00
Space group Fmm2 (No. 42)
Unique sites:
Sr 0.000 0.000 0.000 [4 per cell]
Sr 0.168 0.000 0.665 [8 per cell]
Sr 0.250 0.250 0.413 [8 per cell]
Ca 0.000 0.000 0.339 [4 per cell]
Al 0.000 0.250 0.164 [8 per cell]
O 0.000 0.146 0.518 [8 per cell]
O 0.000 0.147 0.808 [8 per cell]
O 0.141 0.147 0.167 [16 per cell]
F 0.245 0.000 0.413 [8 per cell]

Most intense lines, 15 to 90 degrees two-theta, sorted by position:
30.4°, I = 29, hkl 3 1 1
30.9°, I = 100, hkl 2 2 2
31.9°, I = 41, hkl 0 4 0
38.1°, I = 53, hkl 3 3 1
38.4°, I = 45, hkl 1 3 3
42.0°, I = 26, hkl 4 0 2


No. 2
SrSn4: theoretical powder diffraction line list (CuKα), based on a GGA-PBE-relaxed structure.

Structure:
abc: 4.663 17.649 7.208
angles: 90.00 90.00 90.00
Space group Cmcm (No. 63)
Unique sites:
Sr 0.000 0.112 0.250 [4 per cell]
Sn 0.000 0.090 0.750 [4 per cell]
Sn 0.000 0.305 0.046 [8 per cell]
Sn 0.000 0.500 0.000 [4 per cell]

Most intense lines, 15 to 90 degrees two-theta, sorted by position:
31.8°, I = 100, hkl 1 5 0
32.1°, I = 18, hkl 0 4 2
38.6°, I = 17, hkl 2 0 0
39.5°, I = 14, hkl 0 6 2
56.5°, I = 11, hkl 2 6 2
65.6°, I = 14, hkl 3 5 0


No. 3
PdPtAu: theoretical powder diffraction line list (CuKα), based on a GGA-PBE-relaxed structure.

Structure:
abc: 2.8495 2.8495 6.9864
angles: 90.00 90.00 120.00
Space group P3m1 (No. 156)
Unique sites:
Pd 0.0000 0.0000 0.0000 [1 per cell]
Pt 0.6667 0.3333 0.3211 [1 per cell]
Au 0.3333 0.6667 0.6650 [1 per cell]

Most intense lines, 15 to 90 degrees two-theta, sorted by position:
25.5°, I = 3, hkl 0 0 2
38.7°, I = 100, hkl 1 0 1
45.0°, I = 49, hkl 0 1 2
65.5°, I = 32, hkl 1 1 0
78.7°, I = 38, hkl 0 2 1
83.0°, I = 11, hkl 2 0 2


No. 4
Nd2Co7B3: theoretical powder diffraction line list (CuKα), based on a GGA-PBE-relaxed structure.

Structure:
abc: 5.1301 5.1301 12.7070
angles: 90.00 90.00 120.00
Space group P6/mmm (No. 191)
Unique sites:
Nd 0.0000 0.0000 0.0000 [1 per cell]
Nd 0.0000 0.0000 0.2397 [2 per cell]
Nd 0.0000 0.0000 0.5000 [1 per cell]
Co 0.0000 0.5000 0.1150 [6 per cell]
Co 0.0000 0.5000 0.3434 [6 per cell]
Co 0.3333 0.6667 0.5000 [2 per cell]
B 0.3333 0.6667 0.0000 [2 per cell]
B 0.3333 0.6667 0.2312 [4 per cell]

Most intense lines, 15 to 90 degrees two-theta, sorted by position:
34.7°, I = 97, hkl 1 0 4
35.0°, I = 25, hkl 1 1 0
40.6°, I = 100, hkl 2 0 0
45.4°, I = 83, hkl 1 1 4
62.6°, I = 35, hkl 2 1 4
73.9°, I = 23, hkl 2 2 0


No. 5
CeCoGe3: theoretical powder diffraction line list (CuKα), based on a GGA-PBE-relaxed structure.

Structure:
abc: 4.310 4.310 9.794
angles: 90.00 90.00 90.00
Space group I4mm (No. 107)
Unique sites:
Ce 0.000 0.000 0.000 [2 per cell]
Co 0.000 0.000 0.329 [2 per cell]
Ge 0.000 0.000 0.562 [2 per cell]
Ge 0.000 0.500 0.238 [4 per cell]

Most intense lines, 15 to 90 degrees two-theta, sorted by position:
34.5°, I = 38, hkl 1 0 3
*/
Ownership and control
Another key substantive difference is the definition of ‘ownership and control’. This is a key concept that determines who is entitled to enjoy the rights set out in the agreement. The UK position is quite generous by merely requiring for an airline designated by the UK that the principal place of business of the airline is in the UK, that it is licenced in the UK and that the UK has effective regulatory control.
On the other hand, the EU uses a more traditional and much narrower definition by requiring, in addition to the requirements set out by the UK, also that the air carrier should be owned, directly or through majority ownership, and effectively controlled by the EU-27 (or the UK), its nationals or both. The issue of ownership is of crucial importance for the UK, as at this point it is unclear which of its air carriers, if any, would meet the requirement set out in the Union’s draft. It is, however, important to note that the EU draft leaves open the possibility for a progressive liberalisation of the ownership and control rules.
Fair competition
Differences also emerge in the understanding of fair competition. While both sides agree on ‘fair competition’, the understanding of the term is different. The UK’s concept of fair competition is more loosely framed than that of the EU, in particular when it comes to defining anti-competitive conduct or prohibitions on state aid. While the EU has included its own well-established rules into its draft agreement, by replicating Treaty articles on competition rules and rules from the Merger Regulation, the UK uses more vaguely phrased terms. A similar intention, though less clear so far, of setting out precise rules can be suspected to govern the EU’s position on state aid. In contrast, the UK state aid approach is more loosely phrased with a considerable number of exceptions.
Dispute resolution
Finally, the preferred mechanisms for resolving disputes also differs significantly between the parties. On the UK side, there is a clear preference for dispute resolution and arbitration. If a dispute cannot be resolved within the proposed Aviation Committee, the parties are entitled to request the matter be resolved by binding arbitration. On the EU side, a more complex arrangement is envisaged. The air transport provisions also provide for a dispute resolution mechanism but at the same time leave the powers of competition authorities and courts intact. All the same, the dispute resolution mechanism envisaged by the Union in Title II of Part Five differs from that of the UK. While the EU mechanism also provides for arbitration, the EU provisions insist that where a dispute raises a question of interpretation or application of a concept of Union law contained in or referred to in the draft agreement, the arbitration tribunal is required to request the Court of Justice of the European Union to give a ruling, which is binding on the arbitration tribunal.
Way ahead in the negotiations
The differences between the two sides concerning the ‘freedoms of the air’, on ‘ownership and control’ and, perhaps, even those on ‘fair competition’ are not too big to be unresolvable. But it is the EU’s more general level playing field provisions and dispute resolution mechanism, with its compulsory involvement of the Court of Justice, that might ultimately prove to be too difficult to square with the UK’s position.
The gaps in the negotiating positions make a no-deal scenario likely. For aviation this would be a damaging prospect as without an agreement planes are not allowed to access each other’s airspace. In this case two options can be envisaged. The first option would see both parties agree a deal that is limited to air transport. This presupposes, of course, that the difficulties set out above can be overcome. But this cannot happen without either side making major concessions. The second option would see both parties adopt unilateral acts that grant the other side access to its airspace. We have already an example of what such unilateral action could look like on the EU side, and we can see that the access granted will be limited in time and on less generous grounds than foreseen in the EU draft agreement. Moreover, it is based on the UK reciprocating the arrangement.